GOOD NEWS!  I HAVE BEEN ACCEPTED!!!! To what? An opportunity to share my passion for God’s love to eleven countries in eleven months! The World Race is an organization that provides opportunities for individuals to be the hands and feet of Jesus. We serve in a variety of ministries including orphanage work, church building, vacation bible schools, and much more. 

This season of preparing to apply for The World Race has been one of the most challenging yet rewarding seasons of my life. Let me share a little background.

            I am currently a fourth year student at the University of Florida and I will graduate in May 2017. My plan has always been to graduate with my Bachelor’s Degree then go to grad school for Physicians Assistant studies… until God re-arranged that. I am a huge planner and for God to put a question mark in my plan threw me a little off. I began to question my purpose on Earth. Not in a scary dark way, but rather in a, WOW, God is really big kind of way. I often contemplated how people that do not know God just walk through life and not question their true, authentic purpose on this Earth. Like, if they don’t believe that there is a God, then why do they think we are here? Are we here to just be here, to be present? To go to school, grow up, get married, work, have kids, and then die?

            That answer is NO for me!!! God created this world for purpose and that purpose is to glorify his Holy Name!! When I think of the beauty of our Creator and His intentions it melts my heart and puts me in awe of his love and grace. He created us to choose him. He put Adam and Eve in the garden and gave them free will to choose him and to love him. However, because of the fall we now are born into sin. We are born into a sinful nature and know no other way until we accept the love of God in our lives and truly give our lives to serve him. And oh how wonderful that moment is. We are born to learn who he is and to grow in a relationship with him and to love him. There is no other reason! Our commission and job while on earth is to live our life for God and share his love and kindness.

            I say all of this to say…. I hear the whisper. I hear the calling on my heart to have more than the ordinary. I want more of God. I want others to experience his love in a way that I have. God is amazing!!!! I feel as though there is more for me at this point in my life and I am answering his call. There is more in to learn, discover, love, and grow in. This is why I want to go.

I want to go and travel this beautiful world that God created in just seven days. I want to share him with others. I want to show people how amazing he is and how much he desires to know them on an intimate level. His heart for each individual is so great and so many have no idea.

            For these reasons and many others, I believe God called me to The World Race. Yes, some may say it is dangerous and scary and expensive, but I know a God who cares for me and if he calls me to do something he will qualify me and he will provide beyond measure.

**Unrelated to this page: crystal structures:**
-- begin --
The following is a PBE with a Hubbard U calculation of crystalline Li6Fe3P8O29 at its relaxed geometry, from the Materials Project database.

Results
E_form, eV/f.u.: -112.5

abc: 9.969 9.971 13.865
angles: 90.08 90.12 119.91
Element x y z (fractional)
Li: 0.000 0.000 0.000
Li: 0.001 0.399 0.497
Li: 0.132 0.001 0.501
Li: 0.134 0.536 0.003
Li: 0.308 0.617 0.627
Li: 0.312 0.087 0.128
Li: 0.436 0.615 0.129
Li: 0.441 0.219 0.628
Li: 0.531 0.397 0.002
Li: 0.532 0.531 0.502
Li: 0.884 0.638 0.189
Li: 0.911 0.090 0.628
Fe: 0.212 0.737 0.817
Fe: 0.219 0.876 0.318
Fe: 0.647 0.740 0.314
Fe: 0.654 0.312 0.815
Fe: 0.786 0.303 0.312
Fe: 0.788 0.875 0.814
P: 0.123 0.540 0.225
P: 0.129 0.984 0.723
P: 0.310 0.633 0.407
P: 0.312 0.075 0.906
P: 0.454 0.634 0.906
P: 0.456 0.219 0.407
P: 0.544 0.542 0.724
P: 0.545 0.400 0.223
P: 0.546 0.969 0.192
P: 0.554 0.976 0.693
P: 0.885 0.645 0.441
P: 0.886 0.642 0.942
P: 0.894 0.073 0.405
P: 0.903 0.220 0.901
P: 0.984 0.399 0.718
P: 0.987 0.980 0.223
O: 0.001 0.087 0.313
O: 0.030 0.633 0.908
O: 0.031 0.798 0.411
O: 0.096 0.679 0.243
O: 0.113 0.825 0.738
O: 0.136 0.555 0.723
O: 0.139 0.974 0.225
O: 0.216 0.525 0.315
O: 0.217 0.560 0.135
O: 0.219 0.064 0.633
O: 0.219 0.093 0.815
O: 0.220 0.555 0.497
O: 0.222 0.063 0.997
O: 0.304 0.642 0.906
O: 0.305 0.062 0.406
O: 0.327 0.792 0.390
O: 0.327 0.931 0.889
O: 0.396 0.969 0.220
O: 0.409 0.822 0.725
O: 0.436 0.524 0.815
O: 0.439 0.310 0.315
O: 0.464 0.553 0.633
O: 0.466 0.309 0.497
O: 0.466 0.556 0.997
O: 0.467 0.638 0.406
O: 0.469 0.307 0.133
O: 0.470 0.225 0.906
O: 0.523 0.949 0.583
O: 0.541 0.816 0.218
O: 0.549 0.123 0.723
O: 0.551 0.391 0.724
O: 0.551 0.558 0.222
O: 0.563 0.996 0.081
O: 0.597 0.793 0.889
O: 0.599 0.204 0.390
O: 0.694 0.112 0.228
O: 0.703 0.685 0.739
O: 0.708 0.985 0.721
O: 0.711 0.428 0.241
O: 0.733 0.497 0.909
O: 0.734 0.639 0.408
O: 0.734 0.933 0.387
O: 0.744 0.209 0.893
O: 0.844 0.417 0.739
O: 0.847 0.816 0.239
O: 0.879 0.621 0.552
O: 0.886 0.643 0.053
O: 0.890 0.060 0.905
O: 0.890 0.226 0.404
O: 0.894 0.499 0.410
O: 0.894 0.794 0.908
O: 0.965 0.392 0.225
O: 0.970 0.312 0.625
O: 0.970 0.976 0.723
O: 0.971 0.061 0.496
O: 0.976 0.052 0.130
O: 0.995 0.320 0.985
O: 0.998 0.294 0.803

* * * * *

# MnHO2, relaxed, DFT GGA+U
# energy with MP2020 corrections = -7.35 eV per atom
# formation energy from the elements = -670 kJ/mol of formula units
data_MnHO2
_space_group_name_H-M_alt 'P n m a'
_space_group_IT_number 62
_cell_length_a 10.9252
_cell_length_b 2.9331
_cell_length_c 4.6073
_cell_angle_alpha 90.00
_cell_angle_beta 90.00
_cell_angle_gamma 90.00
loop_
_space_group_symop_operation_xyz
'x,y,z'
'-x,-y,-z'
'-x+1/2,-y,z+1/2'
'x+1/2,y,-z+1/2'
'x+1/2,-y+1/2,-z+1/2'
'-x+1/2,y+1/2,z+1/2'
'-x,y+1/2,-z'
'x,-y+1/2,z'
loop_
_atom_site_label
_atom_site_fract_x
_atom_site_fract_y
_atom_site_fract_z
Mn1 0.1404 0.2500 0.0539
H1 0.1083 0.7500 0.6004
O1 0.0724 0.7500 0.8063
O2 0.1845 0.7500 0.3068
-- stop --

            Saying all of this to say with your help and hard work.. I AM GOING! I’m traveling to 11 countries in 11 months and loving every person I will meet along the way. But, I can’t do this on my own. I need your help. I need prayer most of all, but I also need people to join me on this journey. If you feel led to join my team financially, please click the link on the left hand side of my blog that says, “Donate!”

# Next to the page, the page also holds materials data
- - -
(1)
Compound: ZnC2N6Cl2O2
Source: the Materials Project
Functional: PBE
Structure: optimized geometry

**E**: -0.23802 Ha/atom
**Symmetry**: No. 14
**Magnetization**: 0.15 μB/atom
**ΔH_f (0 K)**: -0.173 eV per atom
**Volume**: 24.1 Å³/atom

Cell: 8.468 6.167 12.632 Å, 71.88 90.00 90.00°
Element x y z (fractional)
Zn (0.500, 0.000, 0.500)
Zn (0.000, 0.000, 0.000)
N (0.062, 0.940, 0.297)
N (0.390, 0.351, 0.944)
N (0.438, 0.940, 0.797)
N (0.766, 0.695, 0.530)
N (0.266, 0.305, 0.970)
N (0.562, 0.060, 0.203)
N (0.734, 0.695, 0.030)
N (0.610, 0.649, 0.056)
N (0.938, 0.060, 0.703)
N (0.890, 0.649, 0.556)
N (0.110, 0.351, 0.444)
N (0.234, 0.305, 0.470)
Cl (0.123, 0.764, 0.138)
Cl (0.877, 0.236, 0.862)
Cl (0.623, 0.236, 0.362)
Cl (0.377, 0.764, 0.638)
O (0.823, 0.128, 0.119)
O (0.323, 0.872, 0.381)
O (0.177, 0.872, 0.881)
O (0.677, 0.128, 0.619)
C (0.305, 0.907, 0.837)
C (0.805, 0.093, 0.663)
C (0.195, 0.907, 0.337)
C (0.695, 0.093, 0.163)


(2)
Compound: SbP3CN3Cl15
Source: the Materials Project
Functional: PBE
Structure: optimized geometry

**E**: -0.15184 Ha/atom
**Symmetry**: No. 2
**ΔH_f (0 K)**: -0.952 eV per atom
**E above lowest polymorph**: 0 meV per atom
**Volume**: 28.7 Å³/atom

Cell: 9.385 10.839 13.401 Å, 86.40 88.84 75.92°
Element x y z (fractional)
Cl (0.245, 0.305, 0.880)
Cl (0.189, 0.763, 0.493)
Cl (0.611, 0.835, 0.311)
Cl (0.314, 0.104, 0.179)
Cl (0.018, 0.828, 0.943)
Cl (0.316, 0.419, 0.179)
Cl (0.982, 0.172, 0.057)
Cl (0.311, 0.923, 0.947)
Cl (0.307, 0.084, 0.436)
Cl (0.686, 0.896, 0.821)
Cl (0.999, 0.959, 0.330)
Cl (0.580, 0.192, 0.309)
Cl (0.364, 0.461, 0.703)
Cl (0.323, 0.629, 0.949)
Cl (0.389, 0.165, 0.689)
Cl (0.636, 0.539, 0.297)
Cl (0.689, 0.077, 0.053)
Cl (0.315, 0.397, 0.437)
Cl (0.420, 0.808, 0.691)
Cl (0.693, 0.916, 0.564)
Cl (0.685, 0.603, 0.563)
Cl (0.001, 0.041, 0.670)
Cl (0.990, 0.336, 0.669)
Cl (0.046, 0.312, 0.304)
Cl (0.684, 0.581, 0.821)
Cl (0.677, 0.371, 0.051)
Cl (0.010, 0.664, 0.331)
Cl (0.811, 0.237, 0.507)
Cl (0.755, 0.695, 0.120)
Cl (0.954, 0.688, 0.696)
P (0.866, 0.213, 0.650)
P (0.214, 0.790, 0.006)
P (0.409, 0.295, 0.782)
P (0.591, 0.705, 0.218)
P (0.134, 0.787, 0.350)
P (0.786, 0.210, 0.994)
C (0.307, 0.762, 0.189)
C (0.693, 0.238, 0.811)
N (0.194, 0.787, 0.123)
N (0.554, 0.264, 0.846)
N (0.806, 0.213, 0.877)
N (0.282, 0.764, 0.288)
N (0.446, 0.736, 0.154)
N (0.718, 0.236, 0.712)
Sb (0.688, 0.748, 0.690)
Sb (0.312, 0.252, 0.310)


(3)
Compound: SbP3CN3Cl15
Source: the Materials Project
Functional: PBE
Structure: optimized geometry

**E**: -0.14495 Ha/atom
**Symmetry**: No. 2
**Magnetization**: 0.00 μB/atom
**ΔH_f (0 K)**: -0.765 eV per atom
**E above lowest polymorph**: 188 meV per atom
**Volume**: 34.0 Å³/atom

Cell: 9.816 12.096 13.862 Å, 84.28 87.91 72.83°
Element x y z (fractional)
P (0.408, 0.279, 0.790)
P (0.870, 0.196, 0.666)
P (0.592, 0.721, 0.210)
P (0.779, 0.212, 0.986)
P (0.221, 0.788, 0.014)
P (0.130, 0.804, 0.334)
Cl (0.403, 0.161, 0.700)
Cl (0.670, 0.362, 0.033)
Cl (0.704, 0.907, 0.558)
- - -

            I am extremely grateful for each and every person that joins my team in prayer or with finances. The generosity of others and willingness to support me along this journey, pushes me closer and closer to sharing my love for God and for that I am eternally grateful.

            Please subscribe to my blog for more post about my journey leading up to the Race as well as posts while I’m in the field.